A little over a decade ago, gamers were those geeky teens who stayed in their rooms and played games all day. They weren’t exactly considered an important subgroup to those looking to make a quick buck or steal valuable information. Now, though, the gaming industry is worth billions, and online gaming is a major worldwide pastime. While online gaming is great for everyone involved because it means more great games and better technology, it unfortunately also attracts the wrong kind of attention including dangerous threats.
Most people have tried at least one online game in their lifetime, whether on PC, console, mobile, or web-based games like those on Facebook. Whatever platform someone chooses and how much they play per day or week isn’t important. What is important, however, is the fact that this makes them a target for cybercriminals.
Here are the top 5 risks gamers (and kid gamers’ parents) need to keep in mind, so that they can prepare accordingly. Don’t think it can’t happen, because these types or threats pop up more and more every day. Be prepared instead, so the focus can stay on moving that payload or earning the victory royale.
1. Swatting
Even though it should seem like an insane thing that rarely happens in the real world, swatting has become an unfortunate part of online gaming. Sometimes people just lose their cool to the point of wanting to get real-life revenge, even though rage-quitting is a perfectly good option. So they trace a player’s IP address to find out where they live and then call the authorities on them. Which sometimes ends in tragedy.
Solution: Use a VPN while gaming to hide the network’s IP address and prevent salty players from taking advantage. What is a VPN? It’s a virtual private network (provided by a service) that encrypts a connection and sends it through the VPN’s servers. Users can also choose which servers they want to connect to – anywhere in the world – which provides other benefits too.
2. Phishing Attacks
Cybercriminals will always look for new ways to target people with phishing scams, and gaming platforms are not immune to this. There have been more than enough phishing attacks on clients like Steam, Xbox chat, and the Playstation Network for people to know they should be careful.
Solution: Phishing attacks come in all shapes and forms, so be wary of any suspicious-looking message from a stranger. Attackers often also target the victim’s contacts through their own account, making it look like the message is coming from a friend. Never click on a link or download something a friend sent if it’s out of the blue. Talk to them about it first to make sure it’s legit.
3. Online Bullying
Trolls and bullies have become an increasingly widespread problem. These days it’s nearly impossible to play any online game without encountering at least one. Almost every online game has some form of communication component, whether text or voice-based. Seeing insults and even some cursing is typical in highly competitive environments, but some players take it too far.
Unrelated to this text: calculated crystals:
Material: Na4Fe2AsC4O16
Method: DFT, PBE+U
State: relaxed

CIF file:
```
data_Na4Fe2AsC4O16
_cell_length_a 10.0487
_cell_length_b 10.0136
_cell_length_c 9.8408
_cell_angle_alpha 60.80
_cell_angle_beta 60.45
_cell_angle_gamma 58.75
_symmetry_space_group_name_H-M 'P 1'
_symmetry_Int_Tables_number 1
loop_
_symmetry_equiv_pos_as_xyz
'x,y,z'
loop_
_atom_site_label
_atom_site_fract_x
_atom_site_fract_y
_atom_site_fract_z
Na1 0.0890 0.6610 0.0890
Na2 0.0890 0.6610 0.6610
Na3 0.3390 0.9110 0.3390
Na4 0.3390 0.9110 0.9110
Na5 0.6610 0.0890 0.0890
Na6 0.6610 0.0890 0.6610
Na7 0.9110 0.3390 0.3390
Na8 0.9110 0.3390 0.9110
Fe1 0.0000 0.5000 0.5000
Fe2 0.5000 0.0000 0.5000
Fe3 0.5000 0.5000 0.0000
Fe4 0.5000 0.5000 0.5000
As1 0.1250 0.1250 0.1250
As2 0.8750 0.8750 0.8750
C1 0.2800 0.6393 0.2924
C2 0.2884 0.2924 0.6393
C3 0.2924 0.2884 0.2800
C4 0.3607 0.7200 0.7116
C5 0.6393 0.2800 0.2884
C6 0.7076 0.7116 0.7200
C7 0.7116 0.7076 0.3607
C8 0.7200 0.3607 0.7076
O1 0.0410 0.3366 0.0609
O2 0.0609 0.0615 0.0410
O3 0.0615 0.0609 0.3366
O4 0.1412 0.6345 0.4056
O5 0.1440 0.3226 0.6444
O6 0.1457 0.4016 0.3085
O7 0.3085 0.6442 0.1457
O8 0.3187 0.4056 0.6345
O9 0.3226 0.1440 0.3891
O10 0.3366 0.0410 0.0615
O11 0.3556 0.6109 0.8560
Solution: Unfortunately, the only true solution to this issue is a huge culture-shift that might or might not actually happen. As an individual, the most someone can do is block or mute the offensive player and report them to the developers. Parents should always try to limit their kids’ exposure to online chat and teach them to alert them instantly if there are problems.
4. Fraudulent Illegal Offers
That old saying – play with fire and get burnt applies so well to people looking to cheat in online games. Yet the alluring offer still exists and a lot of people (especially kids) fall for it. There are several ways to cheat, depending on the game. One very popular method is through bots and modified gaming clients, which people download from sketchy websites. The thing is, a lot of those websites claiming to offer a bot or client are just peddling malware.
Solution: Don’t fall for the temptation. It’s as simple as that. Play the game legitimately, put in real effort, and git gud. There’s no fun in winning if it was via cheating anyway.
5. Fake Apps
Since mobile gaming has become such a booming industry, many scammers take advantage by creating fake apps. These apps usually mimic real games and look legitimate to anyone who doesn’t know any better. However, when they install them, it typically becomes obvious that it’s not the real thing. Yet the damage is already done – the smartphone or tablet is now infected with malware.
Solution: Only download apps from legitimate stores like Google Play. Then still carefully examine the app to make sure it’s from a real developer and check the reviews and app permissions out first. If anything seems suspicious, stay away.
The Bottom Line
Gaming shouldn’t be a chore, so luckily these solutions don’t take up a lot of time. But just because they’re simplistic and easy to follow doesn’t mean they aren’t important. Always take online threats seriously and take the necessary precautions to avoid any problems down the line.
What other online gaming threats do you think should be avoided? Let us know in the comments section below.